Input.
┌──
Entry 1:
The following is a r²SCAN calculation of GePt2 after structural relaxation, from the Materials Project.

Cell: 6.7440 6.7440 3.5410 Å, 90.00 90.00 120.00°
Last column: nearest neighbours and their distance in Å.
Fractional positions:
Ge1 0.0000 0.0000 0.0000  9 Pt 2.55-2.60
Ge2 0.3333 0.6667 0.5000  3 Pt 2.44
Ge3 0.6667 0.3333 0.5000  3 Pt 2.44
Pt1 0.0000 0.2831 0.5000  4 Ge 2.44-2.60
Pt2 0.0000 0.6218 0.0000  5 Ge 2.55-2.76
Pt3 0.2831 0.0000 0.5000  4 Ge 2.44-2.60
Pt4 0.3782 0.3782 0.0000  5 Ge 2.55-2.76
Pt5 0.6218 0.0000 0.0000  5 Ge 2.55-2.76
Pt6 0.7169 0.7169 0.5000  4 Ge 2.44-2.60

- Calculated total energy: -39.32 eV/atom
- Calculated volume: 15.5 A^3/atom
- ΔH_f (0 K): -36 kJ per mole of atoms

=====

Entry 2:
The following is a r²SCAN calculation of RbGe4Pt4 after structural relaxation, from the Materials Project.

Cell: 6.6043 6.6043 6.6043 Å, 97.50 97.50 137.63°
Last column: nearest neighbours and their distance in Å.
Fractional positions:
Rb1 0.0000 0.0000 0.0000  8 Pt 3.39-3.50, 8 Ge 3.62-3.75
Ge1 0.1809 0.6788 0.2631  5 Pt 2.48-2.61
Ge2 0.4157 0.9178 0.7369  5 Pt 2.48-2.61
Ge3 0.6788 0.4157 0.4979  5 Pt 2.48-2.61
Ge4 0.9178 0.1809 0.5021  5 Pt 2.48-2.61
Pt1 0.1273 0.9735 0.5042  5 Ge 2.48-2.61
Pt2 0.4693 0.6230 0.4958  5 Ge 2.48-2.61
Pt3 0.6230 0.1273 0.1538  5 Ge 2.48-2.61
Pt4 0.9735 0.4693 0.8462  5 Ge 2.48-2.61

- Calculated total energy: -31.10 eV/atom
- Calculated volume: 20.1 A^3/atom
- ΔH_f (0 K): -49 kJ per mole of atoms

=====

Entry 3:
The following is a r²SCAN calculation of ScGePt after structural relaxation, from the Materials Project.

Cell: 6.6398 4.2297 7.4342 Å, 90.00 90.00 90.00°
Last column: nearest neighbours and their distance in Å.
Fractional positions:
Sc1 0.0011 0.2500 0.2045  6 Pt 2.89-3.13, 6 Ge 2.91-3.16
Sc2 0.4989 0.7500 0.7045  6 Pt 2.89-3.13, 6 Ge 2.91-3.16
Sc3 0.5011 0.2500 0.2955  6 Pt 2.89-3.13, 6 Ge 2.91-3.16
Sc4 0.9989 0.7500 0.7955  6 Pt 2.89-3.13, 6 Ge 2.91-3.16
Ge1 0.1960 0.2500 0.5925  4 Pt 2.48-2.66
Ge2 0.3040 0.7500 0.0925  4 Pt 2.48-2.66
Ge3 0.6960 0.2500 0.9075  4 Pt 2.48-2.66
Ge4 0.8040 0.7500 0.4075  4 Pt 2.48-2.66
Pt1 0.2048 0.7500 0.4173  4 Ge 2.48-2.66
Pt2 0.2952 0.2500 0.9173  4 Ge 2.48-2.66
Pt3 0.7048 0.7500 0.0827  4 Ge 2.48-2.66
Pt4 0.7952 0.2500 0.5827  4 Ge 2.48-2.66

- Calculated total energy: -26.74 eV/atom
- Calculated volume: 17.4 A^3/atom
- ΔH_f (0 K): -112 kJ per mole of atoms

=====

Entry 4:
The following is a r²SCAN calculation of SmGePt after structural relaxation, from the Materials Project.

Cell: 7.1985 4.4085 7.6291 Å, 90.00 90.00 90.00°
Last column: nearest neighbours and their distance in Å.
Fractional positions:
Sm1 0.0039 0.2500 0.2043  6 Pt 3.05-3.26, 6 Ge 3.05-3.25
Sm2 0.4961 0.7500 0.7043  6 Pt 3.05-3.26, 6 Ge 3.05-3.25
Sm3 0.5039 0.2500 0.2957  6 Pt 3.05-3.26, 6 Ge 3.05-3.25
Sm4 0.9961 0.7500 0.7957  6 Pt 3.05-3.26, 6 Ge 3.05-3.25
Ge1 0.1882 0.2500 0.5871  4 Pt 2.56-2.82
Ge2 0.3118 0.7500 0.0871  4 Pt 2.56-2.82
Ge3 0.6882 0.2500 0.9129  4 Pt 2.56-2.82
Ge4 0.8118 0.7500 0.4129  4 Pt 2.56-2.82
Pt1 0.2035 0.7500 0.4159  4 Ge 2.56-2.82
Pt2 0.2965 0.2500 0.9159  4 Ge 2.56-2.82
Pt3 0.7035 0.7500 0.0841  4 Ge 2.56-2.82
Pt4 0.7965 0.2500 0.5841  4 Ge 2.56-2.82

- Calculated total energy: -32.90 eV/atom
- Calculated volume: 20.2 A^3/atom
- ΔH_f (0 K): -116 kJ per mole of atoms

=====

Entry 5:
The following is a r²SCAN calculation of SmGePt after structural relaxation, from the Materials Project.

Cell: 4.4201 14.4075 7.6048 Å, 90.00 90.00 90.00°
Last column: nearest neighbours and their distance in Å.
Fractional positions:
Sm1 0.2500 0.0024 0.2099  6 Pt 2.96-3.19, 6 Ge 3.06-3.25
Sm2 0.2500 0.2500 0.2961  6 Ge 3.04-3.11, 6 Pt 3.24-3.26
Sm3 0.2500 0.4976 0.2099  6 Pt 2.96-3.19, 6 Ge 3.06-3.25
Sm4 0.2500 0.7500 0.2921  6 Pt 3.11-3.16, 6 Ge 3.20-3.21
Sm5 0.7500 0.2500 0.7079  6 Pt 3.11-3.16, 6 Ge 3.20-3.21
Sm6 0.7500 0.5024 0.7901  6 Pt 2.96-3.19, 6 Ge 3.06-3.25
Sm7 0.7500 0.7500 0.7039  6 Ge 3.04-3.11, 6 Pt 3.24-3.26
└──

Activity.
It remains to filter the rows further above: keep the lines with the word "ScGePt".

Solution.
The following is a r²SCAN calculation of ScGePt after structural relaxation, from the Materials Project.